**Assignment:**
Could you start at the top of the rows below and echo each line, ending with the one that has "0.530 0.162"?
**Entries:**
/*
(1)
Ca2Mn2Si3O12, optimized geometry, DFT PBE with a Hubbard U; space group = I4_1/acd, No. 142; corrected total energy (MP2020 scheme) = -0.293 Ha/atom; DFT formation energy = -2820 meV per atom
1.0
-6.007 6.007 5.940
6.007 -6.007 5.940
6.007 6.007 -5.940
Si O Mn Ca
12 48 8 8
Direct
0.000 0.125 0.375
0.375 0.500 0.625
0.250 0.750 0.500
0.000 0.000 0.000
0.500 0.500 0.000
0.875 0.250 0.875
0.375 0.000 0.125
0.750 0.625 0.625
0.250 0.625 0.125
0.875 0.750 0.375
0.500 0.125 0.875
0.750 0.250 0.500
0.634 0.268 0.061
0.816 0.984 0.248
0.630 0.482 0.946
0.319 0.986 0.252
0.823 0.384 0.867
0.130 0.184 0.148
0.616 0.482 0.439
0.934 0.380 0.648
0.714 0.066 0.446
0.732 0.793 0.367
0.207 0.573 0.939
0.543 0.982 0.867
0.016 0.264 0.832
0.732 0.286 0.352
0.434 0.786 0.554
0.018 0.870 0.054
0.931 0.764 0.248
0.516 0.684 0.752
0.316 0.069 0.832
0.316 0.370 0.852
0.934 0.681 0.668
0.707 0.768 0.633
0.036 0.982 0.852
0.234 0.486 0.668
0.620 0.268 0.554
0.518 0.464 0.148
0.214 0.768 0.648
0.734 0.066 0.748
0.232 0.866 0.939
0.236 0.484 0.168
0.514 0.181 0.748
0.323 0.457 0.439
0.816 0.964 0.946
0.043 0.177 0.561
0.427 0.366 0.633
0.120 0.566 0.352
0.014 0.266 0.332
0.434 0.766 0.252
0.819 0.566 0.332
0.736 0.569 0.752
0.518 0.957 0.133
0.134 0.073 0.367
0.536 0.684 0.054
0.431 0.184 0.168
0.232 0.880 0.446
0.927 0.293 0.061
0.116 0.677 0.133
0.018 0.884 0.561
0.625 0.375 0.250
0.125 0.875 0.250
0.125 0.375 0.750
0.625 0.375 0.750
0.125 0.875 0.750
0.625 0.875 0.750
0.125 0.375 0.250
0.625 0.875 0.250
0.375 0.246 0.371
0.875 0.004 0.629
0.754 0.125 0.129
0.496 0.625 0.371
0.375 0.746 0.871
0.254 0.125 0.629
0.996 0.625 0.871
0.875 0.504 0.129


(2)
Li7Mn5O12, optimized geometry, DFT PBE with a Hubbard U; space group = P1, No. 1; energy above the most stable polymorph in this dataset = 16 meV/atom; corrected total energy (MP2020 scheme) = -0.260 Ha/atom; DFT formation energy = -2141 meV per atom
1.0
-0.662 -3.958 5.657
2.107 -7.294 -0.840
8.151 5.186 1.640
O Li Mn
24 14 10
Direct
0.809 0.432 0.421
0.979 0.607 0.258
0.778 0.648 0.993
0.188 0.560 0.575
0.146 0.970 0.649
0.608 0.476 0.160
0.697 0.849 0.517
0.686 0.063 0.081
0.065 0.375 0.726
0.559 0.690 0.673
0.306 0.933 0.925
0.606 0.291 0.607
0.470 0.318 0.317
0.358 0.735 0.412
0.021 0.197 0.184
0.230 0.338 0.013
0.560 0.876 0.226
0.885 0.023 0.341
0.481 0.104 0.752
0.861 0.233 0.908
0.936 0.829 0.821
0.282 0.143 0.492
0.389 0.519 0.840
0.102 0.790 0.108
0.084 0.583 0.917
0.775 0.048 0.709
0.047 0.796 0.456
0.391 0.118 0.124
0.644 0.860 0.870
0.290 0.537 0.194
0.976 0.206 0.539
0.472 0.709 0.036
0.191 0.960 0.294
0.583 0.083 0.416
0.120 0.371 0.378
0.522 0.307 0.963
0.693 0.458 0.797
0.878 0.630 0.640
0.667 0.669 0.332
0.501 0.497 0.501
0.175 0.169 0.835
0.990 0.998 0.998
0.426 0.914 0.580
0.833 0.832 0.167
0.741 0.252 0.253
0.925 0.417 0.081
0.242 0.750 0.753
0.333 0.334 0.666


(3)
LiCoPO4, optimized geometry, DFT PBE with a Hubbard U; space group = P6_1, No. 169; energy above the most stable polymorph in this dataset = 82 meV/atom; corrected total energy (MP2020 scheme) = -0.265 Ha/atom; DFT formation energy = -2326 meV per atom
1.0
4.949 -8.572 0.000
4.949 8.572 0.000
0.000 0.000 23.910
O P Li Co
96 24 24 24
Direct
0.984 0.312 0.343
0.309 0.432 0.081
0.210 0.462 0.791
0.737 0.323 0.517
0.300 0.242 0.976
0.123 0.691 0.748
0.860 0.016 0.430
0.826 0.908 0.138
0.631 0.470 0.971
0.665 0.649 0.355
0.323 0.586 0.350
0.727 0.258 0.414
0.477 0.138 0.472
0.162 0.631 0.138
0.310 0.970 0.585
0.908 0.082 0.971
0.339 0.477 0.638
0.273 0.742 0.914
0.340 0.310 0.751
0.704 0.076 0.639
0.763 0.728 0.025
0.877 0.309 0.248
0.672 0.984 0.510
0.174 0.092 0.638
0.628 0.704 0.806
0.942 0.700 0.643
0.813 0.395 0.114
0.660 0.690 0.251
0.530 0.162 0.305
0.140 0.984 0.930
0.748 0.210 0.957
0.984 0.845 0.763
0.187 0.605 0.614
0.092 0.918 0.471
0.538 0.748 0.124
0.661 0.523 0.138
0.742 0.470 0.748
0.037 0.766 0.087
0.252 0.790 0.457
0.328 0.016 0.010
0.605 0.418 0.447
0.155 0.140 0.097
0.351 0.015 0.689
0.862 0.339 0.805
*/
**Outcome:**
(1)
Ca2Mn2Si3O12, optimized geometry, DFT PBE with a Hubbard U; space group = I4_1/acd, No. 142; corrected total energy (MP2020 scheme) = -0.293 Ha/atom; DFT formation energy = -2820 meV per atom
1.0
-6.007 6.007 5.940
6.007 -6.007 5.940
6.007 6.007 -5.940
Si O Mn Ca
12 48 8 8
Direct
0.000 0.125 0.375
0.375 0.500 0.625
0.250 0.750 0.500
0.000 0.000 0.000
0.500 0.500 0.000
0.875 0.250 0.875
0.375 0.000 0.125
0.750 0.625 0.625
0.250 0.625 0.125
0.875 0.750 0.375
0.500 0.125 0.875
0.750 0.250 0.500
0.634 0.268 0.061
0.816 0.984 0.248
0.630 0.482 0.946
0.319 0.986 0.252
0.823 0.384 0.867
0.130 0.184 0.148
0.616 0.482 0.439
0.934 0.380 0.648
0.714 0.066 0.446
0.732 0.793 0.367
0.207 0.573 0.939
0.543 0.982 0.867
0.016 0.264 0.832
0.732 0.286 0.352
0.434 0.786 0.554
0.018 0.870 0.054
0.931 0.764 0.248
0.516 0.684 0.752
0.316 0.069 0.832
0.316 0.370 0.852
0.934 0.681 0.668
0.707 0.768 0.633
0.036 0.982 0.852
0.234 0.486 0.668
0.620 0.268 0.554
0.518 0.464 0.148
0.214 0.768 0.648
0.734 0.066 0.748
0.232 0.866 0.939
0.236 0.484 0.168
0.514 0.181 0.748
0.323 0.457 0.439
0.816 0.964 0.946
0.043 0.177 0.561
0.427 0.366 0.633
0.120 0.566 0.352
0.014 0.266 0.332
0.434 0.766 0.252
0.819 0.566 0.332
0.736 0.569 0.752
0.518 0.957 0.133
0.134 0.073 0.367
0.536 0.684 0.054
0.431 0.184 0.168
0.232 0.880 0.446
0.927 0.293 0.061
0.116 0.677 0.133
0.018 0.884 0.561
0.625 0.375 0.250
0.125 0.875 0.250
0.125 0.375 0.750
0.625 0.375 0.750
0.125 0.875 0.750
0.625 0.875 0.750
0.125 0.375 0.250
0.625 0.875 0.250
0.375 0.246 0.371
0.875 0.004 0.629
0.754 0.125 0.129
0.496 0.625 0.371
0.375 0.746 0.871
0.254 0.125 0.629
0.996 0.625 0.871
0.875 0.504 0.129


(2)
Li7Mn5O12, optimized geometry, DFT PBE with a Hubbard U; space group = P1, No. 1; energy above the most stable polymorph in this dataset = 16 meV/atom; corrected total energy (MP2020 scheme) = -0.260 Ha/atom; DFT formation energy = -2141 meV per atom
1.0
-0.662 -3.958 5.657
2.107 -7.294 -0.840
8.151 5.186 1.640
O Li Mn
24 14 10
Direct
0.809 0.432 0.421
0.979 0.607 0.258
0.778 0.648 0.993
0.188 0.560 0.575
0.146 0.970 0.649
0.608 0.476 0.160
0.697 0.849 0.517
0.686 0.063 0.081
0.065 0.375 0.726
0.559 0.690 0.673
0.306 0.933 0.925
0.606 0.291 0.607
0.470 0.318 0.317
0.358 0.735 0.412
0.021 0.197 0.184
0.230 0.338 0.013
0.560 0.876 0.226
0.885 0.023 0.341
0.481 0.104 0.752
0.861 0.233 0.908
0.936 0.829 0.821
0.282 0.143 0.492
0.389 0.519 0.840
0.102 0.790 0.108
0.084 0.583 0.917
0.775 0.048 0.709
0.047 0.796 0.456
0.391 0.118 0.124
0.644 0.860 0.870
0.290 0.537 0.194
0.976 0.206 0.539
0.472 0.709 0.036
0.191 0.960 0.294
0.583 0.083 0.416
0.120 0.371 0.378
0.522 0.307 0.963
0.693 0.458 0.797
0.878 0.630 0.640
0.667 0.669 0.332
0.501 0.497 0.501
0.175 0.169 0.835
0.990 0.998 0.998
0.426 0.914 0.580
0.833 0.832 0.167
0.741 0.252 0.253
0.925 0.417 0.081
0.242 0.750 0.753
0.333 0.334 0.666


(3)
LiCoPO4, optimized geometry, DFT PBE with a Hubbard U; space group = P6_1, No. 169; energy above the most stable polymorph in this dataset = 82 meV/atom; corrected total energy (MP2020 scheme) = -0.265 Ha/atom; DFT formation energy = -2326 meV per atom
1.0
4.949 -8.572 0.000
4.949 8.572 0.000
0.000 0.000 23.910
O P Li Co
96 24 24 24
Direct
0.984 0.312 0.343
0.309 0.432 0.081
0.210 0.462 0.791
0.737 0.323 0.517
0.300 0.242 0.976
0.123 0.691 0.748
0.860 0.016 0.430
0.826 0.908 0.138
0.631 0.470 0.971
0.665 0.649 0.355
0.323 0.586 0.350
0.727 0.258 0.414
0.477 0.138 0.472
0.162 0.631 0.138
0.310 0.970 0.585
0.908 0.082 0.971
0.339 0.477 0.638
0.273 0.742 0.914
0.340 0.310 0.751
0.704 0.076 0.639
0.763 0.728 0.025
0.877 0.309 0.248
0.672 0.984 0.510
0.174 0.092 0.638
0.628 0.704 0.806
0.942 0.700 0.643
0.813 0.395 0.114
0.660 0.690 0.251
0.530 0.162 0.305